Gridding to the rescue! Your tools for practicing watercolor painting.
Gridding to the rescue! Gridding will help you get everything straight. Your output won't look like Naive Art unless that's what you want. Gridding will make sure that you get the proportions right. And it will enable you to put everything in the right places. Without squelching your creativity.
Categories: Preparing for Painting , Beginner TechniquesFebruary 29th, 2024
"April showers bring May flowers", so here's a fun floral-themed lesson for you to enjoy! Let's paint unique watercolor flowers - rose edition - with Dana as she walks us through some basic watercolor techniques.
Categories: Step-By-Step Painting Ideas
## Someone pasted materials data at this point
┌──
This record from the Materials Project describes Na4Co9Mo12O48 after structural relaxation. The functional is PBE with a Hubbard U.

**Corrected total energy (MP2020 scheme)**: -7.806 eV per atom
**Formation energy from the elements**: -1.82 eV/atom

Cell lengths 5.2832, 10.9602, 17.9982 Å; angles 91.06, 90.20, 90.21 degrees
Sites, in units of the cell vectors:
O (0.4126, 0.4830, 0.4276)
O (0.5760, 0.5072, 0.5715)
O (0.6495, 0.2458, 0.3454)
O (0.1471, 0.2533, 0.1545)
O (0.9118, 0.3837, 0.4657)
O (0.8332, 0.8832, 0.6994)
O (0.3954, 0.0298, 0.4315)
O (0.0795, 0.9875, 0.9286)
O (0.9478, 0.2504, 0.9914)
O (0.5618, 0.1054, 0.8795)
O (0.6449, 0.3729, 0.2084)
O (0.5435, 0.7307, 0.4927)
O (0.5679, 0.9927, 0.5752)
O (0.1302, 0.3819, 0.7900)
O (0.3841, 0.8837, 0.7978)
O (0.5787, 0.3978, 0.8874)
O (0.0662, 0.3980, 0.6224)
O (0.1147, 0.8864, 0.5371)
O (0.8902, 0.8826, 0.2053)
O (0.9311, 0.1288, 0.4657)
O (0.9154, 0.0173, 0.0722)
O (0.0833, 0.0994, 0.6141)
O (0.5699, 0.8873, 0.9658)
O (0.6450, 0.1214, 0.2038)
O (0.4546, 0.5951, 0.1302)
O (0.3908, 0.7469, 0.6500)
O (0.4096, 0.1143, 0.0352)
O (0.3956, 0.6170, 0.2939)
O (0.9337, 0.5982, 0.3790)
O (0.1472, 0.3775, 0.2952)
O (0.0506, 0.7718, 0.0038)
O (0.6275, 0.1220, 0.7088)
O (0.9116, 0.6087, 0.2105)
O (0.4109, 0.8909, 0.2895)
O (0.4298, 0.9009, 0.1185)
O (0.0673, 0.5132, 0.9229)
O (0.1454, 0.1264, 0.2915)
O (0.3845, 0.6147, 0.8016)
O (0.6110, 0.6126, 0.9665)
O (0.4473, 0.2488, 0.5079)
O (0.6106, 0.3827, 0.7112)
O (0.1119, 0.1099, 0.7880)
O (0.8377, 0.6180, 0.7026)
O (0.4315, 0.3699, 0.0354)
O (0.8964, 0.4700, 0.0689)
O (0.0734, 0.6148, 0.5385)
O (0.9548, 0.9043, 0.3697)
O (0.8375, 0.7546, 0.8492)
Mo (0.7820, 0.4792, 0.6528)
Mo (0.2850, 0.7471, 0.5566)
Mo (0.2892, 0.0168, 0.8473)
Mo (0.2209, 0.9876, 0.3454)
Mo (0.2949, 0.4827, 0.8502)
Mo (0.7221, 0.2485, 0.4452)
Mo (0.7106, 0.9806, 0.1509)
Mo (0.7202, 0.5118, 0.1545)
Mo (0.7750, 0.7542, 0.9459)
Mo (0.2215, 0.2502, 0.0550)
Mo (0.7881, 0.0195, 0.6499)
Mo (0.2138, 0.5189, 0.3475)
Co (0.3967, 0.2494, 0.2491)
Co (0.7492, 0.5770, 0.4768)
Co (0.7555, 0.0704, 0.9717)
Co (0.2564, 0.0564, 0.5275)
Co (0.7617, 0.4459, 0.9725)
Co (0.2519, 0.4285, 0.5284)
Co (0.6077, 0.7499, 0.7502)
Co (0.8965, 0.2495, 0.2506)
Co (0.2448, 0.9319, 0.0224)
Na (0.7403, 0.7523, 0.3080)
Na (0.2391, 0.7481, 0.1905)
Na (0.2644, 0.2486, 0.6939)
Na (0.7689, 0.2517, 0.8068)

This record from the Materials Project describes KNa3W2O17 after structural relaxation. The functional is PBE with a Hubbard U.

**Corrected total energy (MP2020 scheme)**: -5.524 eV per atom
**Formation energy from the elements**: -0.52 eV/atom

Cell lengths 9.0301, 9.0301, 11.2291 Å; angles 90.00, 90.00, 120.00 degrees
Sites, in units of the cell vectors:
O (0.2416, 0.0025, 0.0995)
O (0.5476, 0.7259, 0.9084)
O (0.7609, 0.7584, 0.4005)
O (0.6273, 0.6308, 0.7500)
O (0.6667, 0.3333, 0.6212)
O (0.7259, 0.1783, 0.0916)
O (0.8217, 0.5476, 0.4084)
O (0.0025, 0.7609, 0.9005)
O (0.2391, 0.2416, 0.9005)
O (0.3333, 0.6667, 0.3788)
└──
February 29th, 2024
Gridding to the rescue! Your tools for practicing watercolor painting.
Gridding to the rescue! Gridding will help you get everything straight. Your output won't look like Naive Art unless that's what you want. Gridding will make sure that you get the proportions right. And it will enable you to put everything in the right places. Without squelching your creativity.
# Between two parts of the page: crystal structures
+++
Entry 1:
Compound: Ba2PuMnO6
Source: the Materials Project
Functional: GGA+U
Structure: optimized geometry

abc: 6.007 6.007 6.007
angles: 60.00 60.00 60.00
Element x y z (fractional)
O (0.254, 0.254, 0.746)
O (0.746, 0.746, 0.254)
O (0.254, 0.746, 0.254)
O (0.746, 0.254, 0.254)
O (0.746, 0.254, 0.746)
O (0.254, 0.746, 0.746)
Mn (0.000, 0.000, 0.000)
Pu (0.500, 0.500, 0.500)
Ba (0.250, 0.250, 0.250)
Ba (0.750, 0.750, 0.750)


Entry 2:
Compound: RbBaMnO4
Source: the Materials Project
Functional: GGA+U
Structure: optimized geometry

abc: 5.986 8.019 10.507
angles: 90.00 90.00 90.00
Element x y z (fractional)
O (0.750, 0.485, 0.077)
O (0.512, 0.709, 0.337)
O (0.250, 0.805, 0.069)
O (0.750, 0.695, 0.569)
O (0.250, 0.515, 0.923)
O (0.488, 0.291, 0.663)
O (0.012, 0.291, 0.663)
O (0.988, 0.209, 0.163)
O (0.512, 0.209, 0.163)
O (0.750, 0.195, 0.931)
O (0.488, 0.791, 0.837)
O (0.250, 0.305, 0.431)
O (0.750, 0.985, 0.423)
O (0.250, 0.015, 0.577)
O (0.012, 0.791, 0.837)
O (0.988, 0.709, 0.337)
Mn (0.750, 0.771, 0.415)
Mn (0.250, 0.229, 0.585)
Mn (0.250, 0.729, 0.915)
Mn (0.750, 0.271, 0.085)
Rb (0.750, 0.845, 0.082)
Rb (0.250, 0.655, 0.582)
Rb (0.250, 0.155, 0.918)
Rb (0.750, 0.345, 0.418)
Ba (0.250, 0.998, 0.308)
Ba (0.250, 0.498, 0.192)
Ba (0.750, 0.502, 0.808)
Ba (0.750, 0.002, 0.692)


Entry 3:
Compound: Ba2MnRuO6
Source: the Materials Project
Functional: GGA+U
Structure: optimized geometry

abc: 5.851 5.851 14.394
angles: 88.62 88.62 59.97
Element x y z (fractional)
Ru (0.332, 0.332, 0.657)
Ru (0.000, 0.000, 0.000)
Ru (0.668, 0.668, 0.343)
O (0.973, 0.515, 0.255)
O (0.329, 0.823, 0.412)
O (0.671, 0.177, 0.588)
O (0.833, 0.833, 0.081)
O (0.177, 0.671, 0.588)
O (0.839, 0.319, 0.079)
O (0.182, 0.182, 0.580)
O (0.161, 0.681, 0.921)
O (0.479, 0.479, 0.755)
O (0.823, 0.329, 0.412)
O (0.681, 0.161, 0.921)
O (0.818, 0.818, 0.420)
O (0.167, 0.167, 0.919)
O (0.027, 0.485, 0.745)
O (0.515, 0.973, 0.255)
O (0.521, 0.521, 0.245)
O (0.485, 0.027, 0.745)
O (0.319, 0.839, 0.079)
Mn (0.000, 0.000, 0.500)
Mn (0.334, 0.334, 0.847)
Mn (0.666, 0.666, 0.153)
Ba (0.667, 0.667, 0.908)
Ba (0.667, 0.667, 0.593)
Ba (0.333, 0.333, 0.092)
Ba (0.000, 0.000, 0.248)
Ba (0.333, 0.333, 0.407)
Ba (0.000, 0.000, 0.752)


Entry 4:
Compound: BaMn5S6O24
Source: the Materials Project
Functional: GGA+U
Structure: optimized geometry

abc: 14.883 14.883 7.716
angles: 90.00 90.00 120.00
Element x y z (fractional)
S (0.766, 0.560, 0.258)
S (0.794, 0.234, 0.258)
S (0.772, 0.869, 0.240)
S (0.560, 0.794, 0.742)
S (0.234, 0.440, 0.742)
S (0.894, 0.462, 0.738)
S (0.569, 0.106, 0.738)
S (0.106, 0.538, 0.262)
S (0.462, 0.569, 0.262)
S (0.538, 0.431, 0.738)
S (0.206, 0.766, 0.742)
S (0.903, 0.772, 0.760)
S (0.097, 0.228, 0.240)
S (0.440, 0.206, 0.258)
S (0.869, 0.097, 0.760)
S (0.131, 0.903, 0.240)
S (0.228, 0.131, 0.760)
S (0.431, 0.894, 0.262)
Mn (0.003, 0.322, 0.547)
Mn (0.322, 0.319, 0.453)
Mn (0.333, 0.667, 0.503)
Mn (0.681, 0.003, 0.453)
Mn (0.345, 0.348, 0.037)
Mn (0.652, 0.997, 0.037)
+++
Categories: Preparing for Painting , Beginner Techniques
November 21st, 2023
Charting a Safe Course: Navigating Watercolor Painting Hazards
Discover essential safety tips for watercolor painting in this insightful article. Learn about selecting non-toxic materials, maintaining a safe workspace, and understanding potential hazards associated with certain pigments. Empower your artistic journey with practical guidance for a safe and mindful painting practice.
Categories: Watercolor LessonsLearn how to paint beautiful watery landscapes with reflections and human figures with Vinita Pappas' beginner-friendly tutorial.
Categories: Step-By-Step Painting Ideas , Watercolor Lessons
Watercolor paint is a versatile art medium. You can use watercolor paints to apply to everything from fabrics and wood to stone, canvas, and paper. However, most professional artists usually use watercolor paper to create paintings. For hundreds of years, watercolor painting has remained...
Categories: Watercolor Lessons
1.
Material: LiYS2
Method: DFT, PBE
State: optimized geometry

Crystal system: tetragonal

a = 6.7715 Å, b = 6.7715 Å, c = 6.7715 Å
α = 132.55°, β = 132.55°, γ = 69.37°
Last column: nearest neighbours and their distance in Å.
Atoms (fractional coordinates):
1 Y 0.7500 0.2500 0.5000  6 S 2.73
2 Li 0.5000 0.5000 0.0000  6 S 2.73-2.83
3 S 0.7544 0.7544 0.0000  3 Li 2.73-2.83, 3 Y 2.73
4 S 0.5044 0.0044 0.5000  3 Li 2.73-2.83, 3 Y 2.73
5 S 0.9956 0.4956 0.5000  3 Li 2.73-2.83, 3 Y 2.73
6 S 0.2456 0.2456 0.0000  3 Y 2.73, 3 Li 2.73-2.83
7 Li 0.2500 0.7500 0.5000  6 S 2.73-2.83
8 Y 0.0000 0.0000 0.0000  6 S 2.73



2.
Material: CeMg12
Method: DFT, PBE
State: optimized geometry

Crystal system: tetragonal

a = 7.9033 Å, b = 7.9033 Å, c = 7.9033 Å
α = 97.81°, β = 97.81°, γ = 136.75°
Last column: nearest neighbours and their distance in Å.
Atoms (fractional coordinates):
1 Mg 0.5000 0.0000 0.0000  10 Mg 2.91-3.15
2 Mg 0.0000 0.0000 0.5000  10 Mg 2.91-3.15
3 Mg 0.0000 0.5000 0.0000  10 Mg 2.91-3.15
4 Mg 0.5000 0.2845 0.7845  10 Mg 3.00-3.34
5 Mg 0.5000 0.7155 0.2155  10 Mg 3.00-3.34
6 Mg 0.2845 0.5000 0.7845  10 Mg 3.00-3.34
7 Mg 0.0000 0.3493 0.3493  9 Mg 3.13-3.34
8 Mg 0.5000 0.5000 0.5000  10 Mg 2.91-3.15
9 Ce 0.0000 0.0000 0.0000  20 Mg 3.63-3.95
10 Mg 0.3493 0.0000 0.3493  9 Mg 3.13-3.34
11 Mg 0.7155 0.5000 0.2155  10 Mg 3.00-3.34
12 Mg 0.0000 0.6507 0.6507  9 Mg 3.13-3.34
13 Mg 0.6507 0.0000 0.6507  9 Mg 3.13-3.34



3.
Material: BaGePbO4
Method: DFT, PBE
State: optimized geometry

Crystal system: orthorhombic

a = 6.2930 Å, b = 7.7483 Å, c = 10.3671 Å
α = 90.00°, β = 90.00°, γ = 90.00°
Last column: nearest neighbours and their distance in Å.
Atoms (fractional coordinates):
1 Pb 0.5681 0.4495 0.0923  3 O 2.28-2.35
2 O 0.7980 0.5142 0.8017  1 Ge 1.80
3 Ge 0.4816 0.4599 0.4101  4 O 1.76-1.80
4 Ge 0.0184 0.5401 0.9101  4 O 1.76-1.80
5 Ba 0.9788 0.7489 0.2114  8 O 2.67-2.98
6 Ba 0.0212 0.2489 0.2886  8 O 2.67-2.98
7 O 0.2555 0.5476 0.3348  1 Ge 1.76
8 O 0.4178 0.2388 0.4454  1 Ge 1.80
9 O 0.7020 0.4858 0.3017  1 Ge 1.80
10 Ge 0.9816 0.0401 0.5899  4 O 1.76-1.80
11 O 0.0617 0.9452 0.4399  1 Ge 1.79
12 O 0.9178 0.2612 0.5546  1 Ge 1.80
13 O 0.0822 0.7612 0.9454  1 Ge 1.80
14 O 0.4383 0.0548 0.9399  1 Ge 1.79
15 O 0.5822 0.7388 0.0546  1 Ge 1.80
16 O 0.5617 0.5548 0.5601  1 Ge 1.79
17 Pb 0.0681 0.0505 0.9077  3 O 2.28-2.35
18 O 0.2980 0.9858 0.1983  1 Ge 1.80
19 Pb 0.9319 0.5505 0.5923  3 O 2.28-2.35
20 O 0.7555 0.9524 0.6652  1 Ge 1.76
21 Ge 0.5184 0.9599 0.0899  4 O 1.76-1.80
22 O 0.7445 0.0476 0.1652  1 Ge 1.76
23 Ba 0.5212 0.2511 0.7114  8 O 2.67-2.98
24 O 0.9383 0.4452 0.0601  1 Ge 1.79
25 O 0.2445 0.4524 0.8348  1 Ge 1.76
26 Ba 0.4788 0.7511 0.7886  8 O 2.67-2.98
27 Pb 0.4319 0.9495 0.4077  3 O 2.28-2.35
28 O 0.2020 0.0142 0.6983  1 Ge 1.80



4.
Material: NbSe2
Method: DFT, PBE
State: optimized geometry

Crystal system: hexagonal

a = 3.4804 Å, b = 3.4804 Å, c = 25.8727 Å
α = 90.00°, β = 90.00°, γ = 120.00°
Phi Divine Proportion and the Golden Spiral Pleasing shapes, interesting coincidences, existential ramifications, and some mathematics reality... using this unique set of mathematical concepts can create an innate linear balance when used formally for composing your artwork. This is one of those weird places where science interacts with visual aesthetics, philosophy, and the meaning of life. Maybe. : Phi = 1.618033988749895... The Golden Number, prounounced "fi" as in "fly." In the Golden Rectangle with A as the height and B as the width, the ratio reveals itself: A is to B as B is to the sum of A and...
Categories: Step-By-Step Painting Ideas , Watercolor Lessons , Advanced Techniques , Step-By-Step Lessons
American Edgar A. Whitney was an avid teacher and made beautiful art influenced by elements of modern design and the wet in wet technique of J.W.S. Cox and others. Mr. Whitney's book "The Complete Guide to Watercolor" has been a mainstay in many artist's reference libraries. His influence can be found in many contemporary watercolorist's work. — Watercolor Masters: Edgar A. Whitney © 2010 Greg Conley —
Categories: Artists in Action
Minna Immonen is a Finnish artist who specializes in art for children's books. She has created a very popular series of postcards with her paintings which are sold in stores across Finland and all over Scandinavia. Her paintings are also used to adorn magnets, dishes, clothes, and more.
Categories: Artists in Action
How to paint photo-realistic snowy trees & bushes without tripping over yourself.
Categories: Step-By-Step Painting Ideas , Watercolor Lessons , Intermediate Techniques , Step-By-Step Lessons , Color Theory
American "John Marin was born in Rutherford, New Jersey, and grew up in nearby Weehawken. He attended the Pennsylvania Academy of the Fine Arts, studying with Thomas Anshutz, then studied at the Art Students League in New York, and from 1905 to 1909, studied in Europe. In Paris, he associated with the Fauvist circle. John Marin earned a reputation for abstract watercolor paintings influenced by Cubism and Futurism. He was one of the Taos, New Mexico Colony painters in the late 1920s, and his work is credited as an important precedent to Abstract Expressionism. Because he was so respected nationally,...
Categories: Artists in Action